== Job ==
Give back the lines further down from the one with "34.09°" to the one with "0.9534" unchanged, please.

== Input ==
********
Structure and computed PXRD pattern of Ta2Tl3H3S8 (a GGA-PBE-relaxed structure; Cu Kα (λ = 1.5418 Å)).

Principal peaks in the range 10° ≤ 2θ ≤ 90°, sorted by position:
2θ 16.22, 5.466 Å, I = 38
2θ 19.05, 4.660 Å, I = 26
2θ 19.97, 4.445 Å, I = 25
2θ 21.12, 4.207 Å, I = 97
2θ 25.20, 3.534 Å, I = 39
2θ 28.95, 3.084 Å, I = 100
2θ 30.68, 2.914 Å, I = 67
2θ 31.08, 2.877 Å, I = 33
2θ 34.80, 2.578 Å, I = 32
2θ 36.84, 2.440 Å, I = 28
2θ 45.03, 2.013 Å, I = 35
2θ 51.73, 1.767 Å, I = 29

Atomic structure:
Cell: 9.7541 9.7541 7.5309 Å, 91.97 91.97 34.09°
Atoms (fractional coordinates):
Ta: 0.1307 0.1307 0.1876
Ta: 0.8693 0.8693 0.8124
Tl: 0.2952 0.7048 0.5000
Tl: 0.6525 0.0404 0.3233
Tl: 0.9596 0.3475 0.6767
H: 0.2005 0.7995 0.0000
H: 0.3563 0.2799 0.8369
H: 0.7201 0.6437 0.1631
S: 0.0620 0.5901 0.5899
S: 0.1335 0.6958 0.0466
S: 0.3042 0.8665 0.9534
S: 0.4099 0.9380 0.4101
S: 0.5051 0.0546 0.8977
S: 0.7627 0.1587 0.7079
S: 0.8413 0.2373 0.2921
S: 0.9454 0.4949 0.1023
********

== Here it is ==
Cell: 9.7541 9.7541 7.5309 Å, 91.97 91.97 34.09°
Atoms (fractional coordinates):
Ta: 0.1307 0.1307 0.1876
Ta: 0.8693 0.8693 0.8124
Tl: 0.2952 0.7048 0.5000
Tl: 0.6525 0.0404 0.3233
Tl: 0.9596 0.3475 0.6767
H: 0.2005 0.7995 0.0000
H: 0.3563 0.2799 0.8369
H: 0.7201 0.6437 0.1631
S: 0.0620 0.5901 0.5899
S: 0.1335 0.6958 0.0466
S: 0.3042 0.8665 0.9534